**Excerpt**
........
1.
This record from Alexandria describes an optimized crystal structure of LiCuPO4. The functional is GGA-PBE.

Cell lengths 7.9504, 8.2623, 5.9325 Å; angles 90.00, 90.00, 90.00 degrees
Closest atoms and distances in Å follow each position.
Atoms (fractional coordinates):
Li 0.1548 0.2217 0.0000  4 O 1.92-2.07
Li 0.3452 0.7217 0.5000  4 O 1.92-2.07
Li 0.6548 0.2783 0.0000  4 O 1.92-2.07
Li 0.8452 0.7783 0.5000  4 O 1.92-2.07
Cu 0.1907 0.8583 0.0816  4 O 1.94-1.96
Cu 0.3093 0.3583 0.5816  4 O 1.94-1.96
Cu 0.6907 0.6417 0.0816  4 O 1.94-1.96
Cu 0.8093 0.1417 0.5816  4 O 1.94-1.96
P 0.1701 0.9817 0.5933  4 O 1.55-1.57
P 0.3299 0.4817 0.0933  4 O 1.55-1.57
P 0.6701 0.5183 0.5933  4 O 1.55-1.57
P 0.8299 0.0183 0.0933  4 O 1.55-1.57
O 0.0230 0.0312 0.0565  1 P 1.55
O 0.2193 0.1500 0.6860  1 P 1.55
O 0.2258 0.8433 0.7588  1 P 1.57
O 0.2320 0.4400 0.8744  1 P 1.55
O 0.2680 0.9400 0.3744  1 P 1.55
O 0.2742 0.3433 0.2588  1 P 1.57
O 0.2807 0.6500 0.1860  1 P 1.55
O 0.4770 0.5312 0.5565  1 P 1.55
O 0.5230 0.4688 0.0565  1 P 1.55
O 0.7193 0.3500 0.6860  1 P 1.55
O 0.7258 0.6567 0.7588  1 P 1.57
O 0.7320 0.0600 0.8744  1 P 1.55
O 0.7680 0.5600 0.3744  1 P 1.55
O 0.7742 0.1567 0.2588  1 P 1.57
O 0.7807 0.8500 0.1860  1 P 1.55
O 0.9770 0.9688 0.5565  1 P 1.55

- ΔE to the lowest computed polymorph: 0.035 eV/atom
- E_form (uncorrected): -1.7711 eV/atom

---

2.
This record from Alexandria describes an optimized crystal structure of CdBP. The functional is GGA-PBE.

Cell lengths 6.4178, 6.0622, 5.9296 Å; angles 90.00, 109.26, 90.00 degrees
Closest atoms and distances in Å follow each position.
Atoms (fractional coordinates):
Cd 0.2438 0.0000 0.4601  1 B 2.39, 1 P 2.65
Cd 0.2562 0.5000 0.5399  1 B 2.39, 1 P 2.65
Cd 0.7438 0.5000 0.4601  1 B 2.39, 1 P 2.65
Cd 0.7562 0.0000 0.5399  1 B 2.39, 1 P 2.65
B 0.1411 0.0981 0.0479  1 B 1.71, 1 P 1.91
B 0.3589 0.5981 0.9521  1 B 1.71, 1 P 1.91
B 0.6411 0.5981 0.0479  1 B 1.71, 1 P 1.91
B 0.8589 0.0981 0.9521  1 B 1.71, 1 P 1.91
P 0.1807 0.4183 0.0802  2 B 1.91-1.96
P 0.3193 0.9183 0.9198  2 B 1.91-1.96
P 0.6807 0.9183 0.0802  2 B 1.91-1.96
P 0.8193 0.4183 0.9198  2 B 1.91-1.96

- Calculated formation energy: 0.21 eV/atom
- ΔE to the lowest computed polymorph: 0.329 eV/atom
- Fermi-level density of states: 4.1 states/eV per cell

* * * * *

Here is crystalline YZn3Ag9 at its relaxed geometry from Alexandria via LeMat-Bulk. Energies are from PBE.

```
YZn3Ag9
1.0
2.653 -6.667 0.000
2.653 6.667 0.000
-2.326 0.000 6.696
Y Zn Ag
1 3 9
direct
0.000 0.000 0.000 Y
0.000 0.500 0.000 Zn
0.500 0.000 0.000 Zn
0.500 0.500 0.500 Zn
0.000 0.000 0.500 Ag
0.023 0.667 0.658 Ag
0.301 0.517 0.788 Ag
0.333 0.977 0.342 Ag
0.483 0.699 0.212 Ag
0.517 0.301 0.788 Ag
0.667 0.023 0.658 Ag
0.699 0.483 0.212 Ag
0.977 0.333 0.342 Ag
```

## Properties
For the magnetization, the calculation gives 0.0 μB per cell. Its total energy is -2.874 eV/atom. The value obtained for the calculated volume is 18.2 Å³ per atom. For the density of states at the Fermi level, the calculation gives 4.87 states/eV/f.u. The energy of formation is -137 kJ/mol of formula units.
........

**Request**
Repeat everything further up without altering anything.

**Completed**
1.
This record from Alexandria describes an optimized crystal structure of LiCuPO4. The functional is GGA-PBE.

Cell lengths 7.9504, 8.2623, 5.9325 Å; angles 90.00, 90.00, 90.00 degrees
Closest atoms and distances in Å follow each position.
Atoms (fractional coordinates):
Li 0.1548 0.2217 0.0000  4 O 1.92-2.07
Li 0.3452 0.7217 0.5000  4 O 1.92-2.07
Li 0.6548 0.2783 0.0000  4 O 1.92-2.07
Li 0.8452 0.7783 0.5000  4 O 1.92-2.07
Cu 0.1907 0.8583 0.0816  4 O 1.94-1.96
Cu 0.3093 0.3583 0.5816  4 O 1.94-1.96
Cu 0.6907 0.6417 0.0816  4 O 1.94-1.96
Cu 0.8093 0.1417 0.5816  4 O 1.94-1.96
P 0.1701 0.9817 0.5933  4 O 1.55-1.57
P 0.3299 0.4817 0.0933  4 O 1.55-1.57
P 0.6701 0.5183 0.5933  4 O 1.55-1.57
P 0.8299 0.0183 0.0933  4 O 1.55-1.57
O 0.0230 0.0312 0.0565  1 P 1.55
O 0.2193 0.1500 0.6860  1 P 1.55
O 0.2258 0.8433 0.7588  1 P 1.57
O 0.2320 0.4400 0.8744  1 P 1.55
O 0.2680 0.9400 0.3744  1 P 1.55
O 0.2742 0.3433 0.2588  1 P 1.57
O 0.2807 0.6500 0.1860  1 P 1.55
O 0.4770 0.5312 0.5565  1 P 1.55
O 0.5230 0.4688 0.0565  1 P 1.55
O 0.7193 0.3500 0.6860  1 P 1.55
O 0.7258 0.6567 0.7588  1 P 1.57
O 0.7320 0.0600 0.8744  1 P 1.55
O 0.7680 0.5600 0.3744  1 P 1.55
O 0.7742 0.1567 0.2588  1 P 1.57
O 0.7807 0.8500 0.1860  1 P 1.55
O 0.9770 0.9688 0.5565  1 P 1.55

- ΔE to the lowest computed polymorph: 0.035 eV/atom
- E_form (uncorrected): -1.7711 eV/atom

---

2.
This record from Alexandria describes an optimized crystal structure of CdBP. The functional is GGA-PBE.

Cell lengths 6.4178, 6.0622, 5.9296 Å; angles 90.00, 109.26, 90.00 degrees
Closest atoms and distances in Å follow each position.
Atoms (fractional coordinates):
Cd 0.2438 0.0000 0.4601  1 B 2.39, 1 P 2.65
Cd 0.2562 0.5000 0.5399  1 B 2.39, 1 P 2.65
Cd 0.7438 0.5000 0.4601  1 B 2.39, 1 P 2.65
Cd 0.7562 0.0000 0.5399  1 B 2.39, 1 P 2.65
B 0.1411 0.0981 0.0479  1 B 1.71, 1 P 1.91
B 0.3589 0.5981 0.9521  1 B 1.71, 1 P 1.91
B 0.6411 0.5981 0.0479  1 B 1.71, 1 P 1.91
B 0.8589 0.0981 0.9521  1 B 1.71, 1 P 1.91
P 0.1807 0.4183 0.0802  2 B 1.91-1.96
P 0.3193 0.9183 0.9198  2 B 1.91-1.96
P 0.6807 0.9183 0.0802  2 B 1.91-1.96
P 0.8193 0.4183 0.9198  2 B 1.91-1.96

- Calculated formation energy: 0.21 eV/atom
- ΔE to the lowest computed polymorph: 0.329 eV/atom
- Fermi-level density of states: 4.1 states/eV per cell

* * * * *

Here is crystalline YZn3Ag9 at its relaxed geometry from Alexandria via LeMat-Bulk. Energies are from PBE.

```
YZn3Ag9
1.0
2.653 -6.667 0.000
2.653 6.667 0.000
-2.326 0.000 6.696
Y Zn Ag
1 3 9
direct
0.000 0.000 0.000 Y
0.000 0.500 0.000 Zn
0.500 0.000 0.000 Zn
0.500 0.500 0.500 Zn
0.000 0.000 0.500 Ag
0.023 0.667 0.658 Ag
0.301 0.517 0.788 Ag
0.333 0.977 0.342 Ag
0.483 0.699 0.212 Ag
0.517 0.301 0.788 Ag
0.667 0.023 0.658 Ag
0.699 0.483 0.212 Ag
0.977 0.333 0.342 Ag
```

## Properties
For the magnetization, the calculation gives 0.0 μB per cell. Its total energy is -2.874 eV/atom. The value obtained for the calculated volume is 18.2 Å³ per atom. For the density of states at the Fermi level, the calculation gives 4.87 states/eV/f.u. The energy of formation is -137 kJ/mol of formula units.